“There’s more preparation today for stardom than in the 70s”: Sam Claflin and Camilla Morrone on Daisy Jones and the Six

____________
Entry 1:
18
Properties=species:S:1:pos:R:3 method="wB97M-V/def2-TZVPD" multiplicity=1 gap_ev=8.4537
C 2.32307 0.50475 2.21937
C 0.98769 0.64828 1.58476
C 0.21731 -0.25053 0.92413
C -0.61806 -0.01743 -0.23506
C -0.84952 1.23729 -1.05484
C -1.00941 -1.15464 -0.88598
N -1.32580 -1.20607 -2.26796
H 2.85701 -0.42498 2.02778
H 2.24607 0.50378 3.30695
H 3.04096 1.24444 1.84142
H 0.49994 1.63759 1.60176
H 0.08996 -1.23144 1.44428
H -1.89112 1.36786 -1.30823
H -0.33522 1.20885 -2.03327
H -0.22689 2.08801 -0.57013
H -0.52526 -2.05162 -0.48246
H -2.00904 -0.57363 -2.64871
H -0.49912 -1.19956 -2.88328


Entry 2:
18
Properties=species:S:1:pos:R:3 method="wB97M-V/def2-TZVPD" multiplicity=1 gap_ev=10.3933
C -1.45879 -1.61818 1.37533
C -1.16141 -0.33744 1.18337
C -1.29624 1.00759 1.52597
C -0.67700 0.55586 0.15117
C 0.84031 0.76783 -0.00194
C 1.45984 -0.20018 -1.04701
N 0.76973 -0.22413 -2.36769
H -2.04273 -1.99354 2.18878
H -0.94036 -2.39299 0.67919
H -0.52654 1.27325 2.27732
H -2.15817 1.61141 1.51088
H -1.43227 0.69212 -0.65049
H 1.25894 0.45540 1.02899
H 1.18344 1.67623 -0.30494
H 2.58876 -0.00621 -1.14903
H 1.39430 -1.21223 -0.51823
H 1.38950 -0.82727 -3.09807
H 0.80870 0.77248 -2.78362


Entry 3:
18
Properties=species:S:1:pos:R:3 method="wB97M-V/def2-TZVPD" multiplicity=1 gap_ev=7.9246
C 2.26511 -0.41218 2.04151
C 1.67737 -0.28359 0.68596
C 0.31118 -0.28719 0.44852
N -0.47174 -1.35597 0.94253
C -0.20636 0.46094 -0.66167
C -1.33604 0.16715 -1.35640
C -2.16628 1.22102 -2.00900
H 1.82904 -1.08885 2.76519
H 3.32785 -0.61176 1.92666
H 2.21001 0.56474 2.54864
H 2.10367 0.45552 0.00544
H -1.29182 -1.59888 0.40591
H 0.14035 -2.14106 1.06644
H 0.41621 1.29285 -0.99257
H -1.57657 -0.88130 -1.43001
H -2.05691 1.34122 -3.10051
H -3.21988 1.00748 -1.80322
H -1.95520 2.14984 -1.48342


Respective ΔE to the lowest compared entry with this formula, charge and spin values: 2.933, 3.227, 2.333 eV.

----------

This record from the OMol25 dataset describes 2 unconnected molecules or ions with the total composition C2H8N2. The level of theory is wB97M-V/def2-TZVPD.

Structure (XYZ):
```
12
C2H8N2, DFT wB97M-V/def2-TZVPD
H 0.974 -0.520 -0.111
N 0.465 -1.422 -0.176
C -0.636 -1.291 0.480
N -1.637 -2.247 0.643
H -0.908 -0.452 1.137
H -2.534 -1.760 0.545
H -1.682 -2.500 1.641
C 1.179 2.038 -0.831
H 0.229 1.709 -0.468
H 1.969 1.381 -0.440
H 1.386 3.075 -0.487
H 1.194 1.989 -1.934
```

Summary:
**Energy above the lowest of the compared OMol25 structures with the same formula, charge and spin**: 19.6 kcal/mol
**Multiplicity**: 1
**Net charge**: 0

This record from the OMol25 dataset describes 2 unconnected molecules or ions with the total composition C2H8N2. The level of theory is wB97M-V/def2-TZVPD.

Structure (XYZ):
```
12
C2H8N2, DFT wB97M-V/def2-TZVPD
____________
• The calculated molecules stop here:
“What a time to be alive if you love music”: this quote captures the sentiment that emanates from the brand-new ten-part Prime Video music drama series, Daisy Jones and the Six, based on Taylor Jenkins Reid’s bestselling 2019 novel, about a fictional 1970s American band. Heavily infused with the music and exploits of the rock acts the writer grew up listening to (particularly Fleetwood Mac), there’s such authenticity given to proceedings that even the actors, when they first came to the script, had to Google the band it was about, assuming it was real.
And so viewers can look forward to a nostalgic, immersive dive back in time, seeing the rockers catapulted to stardom in LA from humble beginnings burgeoning with freedom, creativity and a golden age of sorts for music, while also exploring the uglier sides of the rock’n’roll lifestyle, in particular, pervasive drug abuse, exploitation of women and the pressures of fame. The fabulous cast is led by a magnetic Riley Keough as Daisy and Sam Claflin as The Six frontman Billy Dunne, who both deliver impressive vocals and stage performances, all the more impressive knowing Claflin learnt to sing and play guitar from scratch.
The Upcoming had the pleasure of speaking to the show’s stars ahead of it landing on the streaming platform. Claflin and Camila Morrone (who plays Billy’s wife and band photographer Camile Alvarez) shared how they prepared for their roles, how rock stars behave today in comparison to yesteryear and how they relate to their characters.
How did you come to these roles and what was the appeal?
Sam Claflin: I was auditioning for something else with Hello Sunshine and they were like, “Oh, can you come and audition for this thing?”. I went for The Morning Show and was sat there with the producers and they were like, “Actually, can you come and read this? Do you do musicals?” – I was like “No?”. But yeah, anyway, so I read the first two episodes, and then I went on Google and started searching the band, thinking they were real! And then read the book once I was cast. It was a whirlwind, a tornado of auditions and chemistry reads and stuff.
Back in the 70s, rock stars would pretty much get away with everything. What do you make of today’s rock stars and their role in pop culture and entertainment in general?
Camila Morrone: It’s a good question we haven’t been asked yet! I don’t know… I think, probably with “wokeness”, there are definitely some limitations as to how far one can go. But rock stardom is such a particular thing. I personally love myself a rock star and a rock star story. So yeah, I think if it’s within the means of being a good person, everyone has the liberty to do as they please, which they seem to do.
SC: I think we’re a lot more aware of fame, and its attractiveness… I think rock stars or pop stars, or people in the limelight definitely seem to… there are a lot more bells and whistles, if you know what I mean, that come with being that. So there’s the entourage and the seven-car convoy. And there’s their security. I know, obviously, there was Beatles mania, and there were, I’m sure, huge security risks across the board. But I think because of the nature of social media and press outlets, there’s always this need for more, and everything being easy access. It’s so much more difficult to live a private life is what I suppose I’m trying to say.
CM: There’s also more preparation today for stardom, I think, than in the 70s.
SC: Yeah, exactly. I think we’re kitted out for it now. But yeah, with Daisy Jones and the Six in the 70s, I think you have to remember that, as much as they are a big band, this is their first tour as a band. And so, in the sense of that I had to kind of keep reminding myself that they were meant to be very good but, at the same time, it’s not like they’d been doing this for 50 years – this is the first time they’d been on tour as a band, figuring things out, and I’m sure there were mistakes that would naturally happen on the first tour. So you have to put this into perspective.
James Ponsoldt really recreates the 70s atmosphere and mood on screen. What kind of guide was he on set?
SC: I mean, I think I speak on behalf of not only James Ponsoldt but also Nzingha Stewart, who came into the second half of the series as a director, and Will Graham who came in and did one of the episodes – episode seven, I think. And then we had Scott Neustadter, who not only wrote it but then sort of became the showrunner as well. So there were a lot of cooks in the kitchen, in a wonderful way of being able to guide us through – Denise Wingate, who did the costume design… There were just so many people who are experts in their field. And there was Danny Rowe, who was the guitar specialist with the music. I remember Danny; he would be the one to hand me the guitars, and he taught me the history around every guitar that I played and how it was built. We were so fortunate to have such an incredible team of people on this. There was a network, a whole spider’s web of genius.
CM: I second what Sam said! Yeah, I mean to create this ambience in the setting that they did, which you feel so strongly in those first five episodes that James directed, where you’re introduced to this place in time, which Nzingha then does beautifully in kind of keeping up that flow… it really is just people that are so good at what they do, and so passionate. It’s just a collaboration: everyone has a little piece of the puzzle, and we’re just one little piece, but there are all these other pieces that have already been established and working for years and months to create what you see on screen. So we all just have a tiny little percentage of ownership of this – not legally, but in our hearts.
SC: I wish we did.
CM: I know.
The writer of the book said that she was heavily influenced by music she grew up listening to – bands like Fleetwood Mac. Did you go back and listen to music from that period? And, Sam, how did you prepare for being on-stage and the vocal performances as well?
SC: For me, my music knowledge was pretty poor. I have to say, I think I went into my audition and the music producers started playing Come Together and said “Do you know this song?”, “Yeah, Michael Jackson, right?” “I think he did a version of it. But no, it was the Beatles”, “Oh yes, I’ve heard of them…” [laughs]. So I think I had a huge journey that I needed to go on. And thankfully, again, we had a wonderful team of people, I had incredible singing teachers: Eric Vetro, who’s like… he works with everybody. I’ll never forget going into a singing lesson with him, following John Legend just before Rosalia, and then Sam Claflin, who can’t sing. I remember just being sat in the waiting room at his house and hearing Rosalia belting out opera, and I was like, “What on Earth? This is, I mean, this is madness”. And then I worked with another singing teacher called Rachel Price, who is in a band called Lake Street Dive, and I’m a huge fan of that band. So when she started singing the warm-up as part of the singing lesson, I was like, “You sound really familiar, are you in a band?”. “Yeah, a little band called Lake Street Dive”, “I’ve seen you live!”. We were recording these songs in Sound City Studios, which is where Fleetwood Mac, of course, were born.
CM: They were born inside of there?
SC: All of them, yeah…[laughs] No, but there’s a history surrounding that place. And I think the day of my audition, another song that I prepared was a song by Bob Dylan. And only a week later, Bob Dylan was in that studio, recording his album. And then Marcus Mumford, who collaborated on the writing of Look at Us Now, which has just come out… He was recording his album whilst I was singing – well, butchering – his song that he’d just written, and he was listening to it, like, “Maybe just try it a bit more like this is…”. But then it comes full circle: we were shooting out in New Orleans and Bob Dylan was then performing in New Orleans, so we all went as a cast to go and watch. I was guided to have many references, and many people that I was told to watch. Bruce Springsteen was the big inspiration for me; I looked especially at his earlier stuff, I listened to a lot of Bruce and The Doors as well. There’s a moment where Billy loses his head a little bit in the earlier episodes – I was channelling more of a Jim Morrison in that moment. There was a whole education for me during this, a lot of music listened to.
There is a lot of talk about success in the series. Did you see yourself in the characters, especially in the terms of how to deal with success?
CM: Well, it was much more prominent for Billy, obviously, because he’s the rock star!
SC: You’re a rock star!
CM: I was a rock star in my own way. But, I mean, I related to my character in a lot of ways; it was an interesting journey for me to follow her transition into womanhood. Although she’s not in the band, and famous per se, I think that there’s a real kind of strength that comes with being the supportive glue for this group of people, who have just reached this massive level of success and fame, what feels like overnight. And that’s kind of empowering and beautiful, in its own way, to be the foundation for these incredible artists, and that’s what I see Camilla as: the foundation.
SC: I have to say the one thing I definitely don’t connect with Billy on is I hate the sound of my own voice, where I think Billy is somewhat in love with himself a little bit. And you have to have an ego to be a musician, and I definitely don’t have that… [laughs] I don’t think. But, for me, there are so many aspects of his character and his life that I’m like, “Yeah, I’ve been at this crossroads before. I’ve seen this happen before, I felt this before, I’ve been there before”. Never addiction and never being on a stage in front of tens of thousands of people. But, in a way, whether with going on tour with filming or whatever it is, there are definitely the challenges and struggles of being a dad as well as being an artist of any sort of form that I could really relate to quite well. So I’d say this is probably the most sort of authentic I felt in playing a character. I think I really struggled not to cry in most of the scenes. I remember Lauren… there was a scene with me and Camila lying on the balcony, and Lauren was like, “Sam, shall we try one without you crying?” and I was like, “I’m really trying, I’m trying not to”. But I think it’s just it all very close to home and those emotions are so raw. It was a difficult – or like a therapeutic experience – working through this.
Sarah Bradbury
Daisy Jones and the Six is released on Amazon Prime Video on 3rd March 2023. Read our review here.
Watch the trailer for Daisy Jones and the Six here: